........
Computed, not measured: a cluster of 20 separate species, C40H120O20 in total, with wB97M-V/def2-TZVPD.

```
180
Properties=species:S:1:pos:R:3
C -8.933 20.602 -8.179
C -8.296 22.030 -8.304
O -7.489 22.003 -9.412
H -8.155 19.847 -8.063
H -9.468 20.426 -9.112
H -9.616 20.521 -7.334
H -7.685 22.211 -7.419
H -9.053 22.803 -8.441
H -8.023 21.594 -10.098
C -8.233 17.446 -17.041
C -8.431 18.684 -17.981
O -7.102 19.170 -18.343
H -7.564 17.600 -16.194
H -7.664 16.689 -17.581
H -9.202 16.984 -16.854
H -9.136 19.379 -17.525
H -8.927 18.379 -18.903
H -6.924 18.981 -19.268
C -8.004 14.139 -5.237
C -8.745 14.438 -6.503
O -8.162 13.780 -7.614
H -8.052 13.091 -4.942
H -8.569 14.587 -4.419
H -7.033 14.633 -5.224
H -8.856 15.503 -6.707
H -9.806 14.186 -6.489
H -8.163 14.430 -8.321
C -4.843 18.440 -11.782
C -3.375 18.772 -11.331
O -3.195 17.877 -10.216
H -5.647 18.600 -11.064
H -5.006 17.362 -11.751
H -5.126 18.933 -12.712
H -3.129 19.761 -10.945
H -2.633 18.540 -12.095
H -3.801 18.137 -9.518
C -8.036 19.740 -12.137
C -9.338 20.383 -12.331
O -9.080 21.663 -11.916
H -8.074 18.709 -12.490
H -7.738 19.797 -11.090
H -7.348 20.330 -12.743
H -10.187 19.988 -11.773
H -9.569 20.347 -13.396
H -8.824 22.282 -12.604
C -7.979 17.567 -3.861
C -9.131 18.477 -4.178
O -10.142 17.692 -4.765
H -7.460 17.328 -4.789
H -8.199 16.670 -3.283
H -7.139 18.114 -3.434
H -8.753 19.294 -4.791
H -9.648 18.882 -3.308
H -10.750 18.334 -5.137
C -11.729 16.004 -1.687
C -11.468 14.847 -2.715
O -11.642 15.258 -4.091
H -12.727 16.399 -1.877
H -11.092 16.877 -1.833
H -11.624 15.684 -0.650
H -12.269 14.115 -2.622
H -10.503 14.398 -2.479
H -11.228 16.098 -4.300
C -14.392 13.714 -6.419
C -14.508 13.415 -4.933
O -14.332 14.681 -4.328
H -14.293 12.842 -7.065
H -13.529 14.365 -6.560
H -15.166 14.356 -6.840
H -13.761 12.711 -4.567
H -15.486 13.119 -4.553
H -13.399 14.909 -4.320
C -12.474 21.845 -13.295
C -12.622 21.465 -11.859
O -13.915 21.743 -11.499
H -11.491 21.773 -13.760
H -12.758 22.885 -13.454
H -13.111 21.195 -13.895
H -11.999 22.128 -11.259
H -12.316 20.462 -11.561
H -14.170 21.135 -10.800
C -5.942 11.139 -14.136
C -6.718 11.188 -12.874
O -7.988 10.656 -13.181
H -6.442 11.065 -15.102
H -5.455 10.168 -14.235
H -5.247 11.970 -14.253
H -6.592 12.101 -12.292
H -6.345 10.335 -12.307
H -8.466 10.523 -12.359
C -12.189 17.619 -13.597
C -12.785 16.889 -12.485
O -13.741 17.777 -11.898
H -11.566 18.485 -13.374
H -12.930 17.931 -14.332
H -11.546 16.953 -14.173
H -11.858 16.669 -11.956
H -13.247 15.984 -12.881
H -14.214 18.277 -12.567
C -4.377 14.561 -12.709
C -3.881 14.469 -11.226
O -4.639 15.230 -10.301
H -4.149 15.442 -13.310
H -5.410 14.215 -12.750
H -3.871 13.727 -13.195
H -2.828 14.721 -11.095
H -3.996 13.425 -10.935
H -4.123 16.018 -10.114
C -12.351 17.548 -7.205
C -12.696 18.618 -6.114
O -11.619 19.475 -5.941
H -13.275 17.083 -7.548
H -11.573 16.795 -7.079
H -12.024 18.112 -8.078
H -12.979 18.220 -5.139
H -13.530 19.224 -6.468
H -11.951 20.322 -5.635
C -5.173 11.367 -8.597
C -6.408 10.963 -7.724
O -7.549 11.306 -8.437
H -5.152 12.446 -8.747
H -5.205 10.733 -9.483
H -4.273 11.060 -8.065
H -6.473 11.379 -6.719
H -6.208 9.892 -7.700
H -7.720 12.213 -8.173
C -16.951 18.396 -9.817
C -15.736 18.795 -9.078
O -14.890 19.539 -9.998
H -17.602 17.790 -9.187
H -16.646 17.868 -10.721
H -17.432 19.296 -10.198
H -15.211 17.895 -8.757
H -16.070 19.397 -8.233
H -14.510 18.902 -10.608
C -9.726 16.581 -9.687
C -8.352 16.288 -10.480
O -7.766 15.121 -9.940
H -10.558 15.884 -9.786
H -10.066 17.546 -10.065
H -9.528 16.701 -8.622
H -7.697 17.150 -10.351
H -8.349 16.040 -11.541
H -7.018 14.860 -10.481
C -11.525 12.399 -10.814
C -10.006 12.337 -10.586
O -9.511 11.044 -10.415
H -11.766 12.627 -11.852
H -11.951 13.252 -10.287
H -12.035 11.505 -10.454
H -9.823 12.757 -9.597
H -9.373 12.804 -11.341
H -8.819 11.051 -9.750
C -6.540 13.773 -16.915
C -8.020 13.714 -16.617
O -8.746 13.948 -17.843
H -6.400 14.824 -17.168
H -6.228 13.152 -17.754
H -5.882 13.543 -16.077
H -8.369 14.442 -15.884
H -8.263 12.733 -16.207
........

Start at the top of the notes earlier on and type out each line, ending with the one that has "-10.301".

Computed, not measured: a cluster of 20 separate species, C40H120O20 in total, with wB97M-V/def2-TZVPD.

```
180
Properties=species:S:1:pos:R:3
C -8.933 20.602 -8.179
C -8.296 22.030 -8.304
O -7.489 22.003 -9.412
H -8.155 19.847 -8.063
H -9.468 20.426 -9.112
H -9.616 20.521 -7.334
H -7.685 22.211 -7.419
H -9.053 22.803 -8.441
H -8.023 21.594 -10.098
C -8.233 17.446 -17.041
C -8.431 18.684 -17.981
O -7.102 19.170 -18.343
H -7.564 17.600 -16.194
H -7.664 16.689 -17.581
H -9.202 16.984 -16.854
H -9.136 19.379 -17.525
H -8.927 18.379 -18.903
H -6.924 18.981 -19.268
C -8.004 14.139 -5.237
C -8.745 14.438 -6.503
O -8.162 13.780 -7.614
H -8.052 13.091 -4.942
H -8.569 14.587 -4.419
H -7.033 14.633 -5.224
H -8.856 15.503 -6.707
H -9.806 14.186 -6.489
H -8.163 14.430 -8.321
C -4.843 18.440 -11.782
C -3.375 18.772 -11.331
O -3.195 17.877 -10.216
H -5.647 18.600 -11.064
H -5.006 17.362 -11.751
H -5.126 18.933 -12.712
H -3.129 19.761 -10.945
H -2.633 18.540 -12.095
H -3.801 18.137 -9.518
C -8.036 19.740 -12.137
C -9.338 20.383 -12.331
O -9.080 21.663 -11.916
H -8.074 18.709 -12.490
H -7.738 19.797 -11.090
H -7.348 20.330 -12.743
H -10.187 19.988 -11.773
H -9.569 20.347 -13.396
H -8.824 22.282 -12.604
C -7.979 17.567 -3.861
C -9.131 18.477 -4.178
O -10.142 17.692 -4.765
H -7.460 17.328 -4.789
H -8.199 16.670 -3.283
H -7.139 18.114 -3.434
H -8.753 19.294 -4.791
H -9.648 18.882 -3.308
H -10.750 18.334 -5.137
C -11.729 16.004 -1.687
C -11.468 14.847 -2.715
O -11.642 15.258 -4.091
H -12.727 16.399 -1.877
H -11.092 16.877 -1.833
H -11.624 15.684 -0.650
H -12.269 14.115 -2.622
H -10.503 14.398 -2.479
H -11.228 16.098 -4.300
C -14.392 13.714 -6.419
C -14.508 13.415 -4.933
O -14.332 14.681 -4.328
H -14.293 12.842 -7.065
H -13.529 14.365 -6.560
H -15.166 14.356 -6.840
H -13.761 12.711 -4.567
H -15.486 13.119 -4.553
H -13.399 14.909 -4.320
C -12.474 21.845 -13.295
C -12.622 21.465 -11.859
O -13.915 21.743 -11.499
H -11.491 21.773 -13.760
H -12.758 22.885 -13.454
H -13.111 21.195 -13.895
H -11.999 22.128 -11.259
H -12.316 20.462 -11.561
H -14.170 21.135 -10.800
C -5.942 11.139 -14.136
C -6.718 11.188 -12.874
O -7.988 10.656 -13.181
H -6.442 11.065 -15.102
H -5.455 10.168 -14.235
H -5.247 11.970 -14.253
H -6.592 12.101 -12.292
H -6.345 10.335 -12.307
H -8.466 10.523 -12.359
C -12.189 17.619 -13.597
C -12.785 16.889 -12.485
O -13.741 17.777 -11.898
H -11.566 18.485 -13.374
H -12.930 17.931 -14.332
H -11.546 16.953 -14.173
H -11.858 16.669 -11.956
H -13.247 15.984 -12.881
H -14.214 18.277 -12.567
C -4.377 14.561 -12.709
C -3.881 14.469 -11.226
O -4.639 15.230 -10.301